# Given
~~~
This record from OMol25 describes C24H32N6O in the gas phase. The level of theory is wB97M-V/def2-TZVPD.

Calculated values
net charge: 0
Kohn-Sham gap: 8.562 eV
energy: -1337.51047 Eh
energy above the lowest of the compared OMol25 structures with the same formula, charge and spin: 33.01 kcal/mol
max |F|: 0.017 hartree/bohr
HOMO: -8.01 eV
SMILES string: CCn1cc(CN2CCC(n3nccc3NC(=O)CCCc3ccccc3)CC2)cn1
spin multiplicity: 1

Each atom is followed by the atoms it is bonded to, with distances in Å.
Cartesian coordinates (Å):
1 C 1.7514 -5.6005 2.7249  C2 1.527, H32 1.088, H33 1.087, H34 1.087
2 C 1.3782 -4.5403 1.6908  C1 1.527, N3 1.436, H35 1.094, H36 1.092
3 N 2.1967 -3.3670 1.8188  C2 1.436, C4 1.347, N31 1.326
4 C 2.0968 -2.3947 2.7450  N3 1.347, C5 1.381, H37 1.072
5 C 3.1006 -1.4816 2.4895  C4 1.381, C6 1.498, C30 1.406
6 C 3.3834 -0.1782 3.1723  C5 1.498, N7 1.458, H38 1.095, H39 1.094
7 N 2.5622 0.9454 2.7389  C6 1.458, C8 1.451, C29 1.457
8 C 1.1822 0.9325 3.1863  N7 1.451, C9 1.531, H40 1.098, H41 1.091
9 C 0.1914 0.3636 2.1669  C8 1.531, C10 1.536, H42 1.091, H43 1.090
10 C 0.2591 1.1210 0.8323  C9 1.536, N11 1.450, C28 1.539, H44 1.099
11 N 0.2697 0.1725 -0.2638  C10 1.450, N12 1.338, C15 1.357
12 N 0.6798 -1.0894 -0.0946  N11 1.338, C13 1.316
13 C 0.6690 -1.6473 -1.2869  N12 1.316, C14 1.399, H45 1.071
14 C 0.2519 -0.7433 -2.2691  C13 1.399, C15 1.381, H46 1.068
15 C 0.0072 0.4226 -1.5715  N11 1.357, C14 1.381, N16 1.388
16 N -0.4464 1.6623 -1.9992  C15 1.388, C17 1.367, H47 1.009
17 C -0.8625 1.9421 -3.2705  N16 1.367, O18 1.209, C19 1.520
18 O -0.7503 1.1708 -4.1941  C17 1.209
19 C -1.4489 3.3344 -3.4417  C17 1.520, C20 1.533, H48 1.091, H49 1.092
20 C -2.8536 3.2385 -4.0479  C19 1.533, C21 1.533, H50 1.091, H51 1.092
21 C -3.9281 2.9443 -2.9942  C20 1.533, C22 1.504, H52 1.093, H53 1.093
22 C -3.6124 1.7422 -2.1480  C21 1.504, C23 1.389, C27 1.390
23 C -3.4504 1.8685 -0.7741  C22 1.389, C24 1.385, H54 1.083
24 C -3.1487 0.7674 0.0096  C23 1.385, C25 1.383, H55 1.081
25 C -2.9878 -0.4760 -0.5748  C24 1.383, C26 1.385, H56 1.080
26 C -3.1521 -0.6141 -1.9429  C25 1.385, C27 1.383, H57 1.079
27 C -3.4721 0.4831 -2.7209  C22 1.390, C26 1.383, H58 1.079
28 C 1.5233 1.9960 0.7733  C10 1.539, C29 1.521, H59 1.092, H60 1.091
29 C 2.7095 1.2114 1.3138  N7 1.457, C28 1.521, H61 1.097, H62 1.101
30 C 3.7583 -2.0174 1.3682  C5 1.406, N31 1.318, H63 1.073
31 N 3.2049 -3.1508 0.9851  N3 1.326, C30 1.318
32 H 1.6054 -5.2203 3.7335  C1 1.088
33 H 2.7948 -5.8823 2.6086  C1 1.087
34 H 1.1331 -6.4842 2.5926  C1 1.087
35 H 0.3279 -4.2540 1.8005  C2 1.094
36 H 1.5390 -4.9265 0.6827  C2 1.092
37 H 1.3440 -2.4195 3.5083  C4 1.072
38 H 4.4241 0.1028 2.9787  C6 1.095
39 H 3.2543 -0.2807 4.2534  C6 1.094
40 H 0.8983 1.9650 3.4304  C8 1.098
41 H 1.1209 0.3547 4.1103  C8 1.091
42 H -0.8184 0.4006 2.5774  C9 1.091
43 H 0.4466 -0.6760 1.9635  C9 1.090
44 H -0.6304 1.7545 0.7122  C10 1.099
45 H 0.9673 -2.6700 -1.4009  C13 1.071
46 H 0.1392 -0.8976 -3.3197  C14 1.068
47 H -0.6280 2.3422 -1.2760  N16 1.009
48 H -1.4723 3.8838 -2.4994  C19 1.091
49 H -0.7986 3.8672 -4.1392  C19 1.092
50 H -2.8383 2.4516 -4.8033  C20 1.091
51 H -3.1042 4.1777 -4.5450  C20 1.092
52 H -4.8797 2.7840 -3.5084  C21 1.093
53 H -4.0441 3.8184 -2.3482  C21 1.093
54 H -3.5699 2.8391 -0.3096  C23 1.083
55 H -3.0424 0.8811 1.0795  C24 1.081
56 H -2.7342 -1.3325 0.0317  C25 1.080
57 H -3.0295 -1.5818 -2.4052  C26 1.079
58 H -3.6049 0.3628 -3.7853  C27 1.079
59 H 1.7237 2.2856 -0.2604  C28 1.092
60 H 1.3765 2.9032 1.3602  C28 1.091
61 H 3.6371 1.7792 1.1735  C29 1.097
62 H 2.7919 0.2781 0.7359  C29 1.101
63 H 4.6086 -1.6242 0.8460  C30 1.073
~~~
# Job
Next, write out all of the entries above character by character.
# Response
This record from OMol25 describes C24H32N6O in the gas phase. The level of theory is wB97M-V/def2-TZVPD.

Calculated values
net charge: 0
Kohn-Sham gap: 8.562 eV
energy: -1337.51047 Eh
energy above the lowest of the compared OMol25 structures with the same formula, charge and spin: 33.01 kcal/mol
max |F|: 0.017 hartree/bohr
HOMO: -8.01 eV
SMILES string: CCn1cc(CN2CCC(n3nccc3NC(=O)CCCc3ccccc3)CC2)cn1
spin multiplicity: 1

Each atom is followed by the atoms it is bonded to, with distances in Å.
Cartesian coordinates (Å):
1 C 1.7514 -5.6005 2.7249  C2 1.527, H32 1.088, H33 1.087, H34 1.087
2 C 1.3782 -4.5403 1.6908  C1 1.527, N3 1.436, H35 1.094, H36 1.092
3 N 2.1967 -3.3670 1.8188  C2 1.436, C4 1.347, N31 1.326
4 C 2.0968 -2.3947 2.7450  N3 1.347, C5 1.381, H37 1.072
5 C 3.1006 -1.4816 2.4895  C4 1.381, C6 1.498, C30 1.406
6 C 3.3834 -0.1782 3.1723  C5 1.498, N7 1.458, H38 1.095, H39 1.094
7 N 2.5622 0.9454 2.7389  C6 1.458, C8 1.451, C29 1.457
8 C 1.1822 0.9325 3.1863  N7 1.451, C9 1.531, H40 1.098, H41 1.091
9 C 0.1914 0.3636 2.1669  C8 1.531, C10 1.536, H42 1.091, H43 1.090
10 C 0.2591 1.1210 0.8323  C9 1.536, N11 1.450, C28 1.539, H44 1.099
11 N 0.2697 0.1725 -0.2638  C10 1.450, N12 1.338, C15 1.357
12 N 0.6798 -1.0894 -0.0946  N11 1.338, C13 1.316
13 C 0.6690 -1.6473 -1.2869  N12 1.316, C14 1.399, H45 1.071
14 C 0.2519 -0.7433 -2.2691  C13 1.399, C15 1.381, H46 1.068
15 C 0.0072 0.4226 -1.5715  N11 1.357, C14 1.381, N16 1.388
16 N -0.4464 1.6623 -1.9992  C15 1.388, C17 1.367, H47 1.009
17 C -0.8625 1.9421 -3.2705  N16 1.367, O18 1.209, C19 1.520
18 O -0.7503 1.1708 -4.1941  C17 1.209
19 C -1.4489 3.3344 -3.4417  C17 1.520, C20 1.533, H48 1.091, H49 1.092
20 C -2.8536 3.2385 -4.0479  C19 1.533, C21 1.533, H50 1.091, H51 1.092
21 C -3.9281 2.9443 -2.9942  C20 1.533, C22 1.504, H52 1.093, H53 1.093
22 C -3.6124 1.7422 -2.1480  C21 1.504, C23 1.389, C27 1.390
23 C -3.4504 1.8685 -0.7741  C22 1.389, C24 1.385, H54 1.083
24 C -3.1487 0.7674 0.0096  C23 1.385, C25 1.383, H55 1.081
25 C -2.9878 -0.4760 -0.5748  C24 1.383, C26 1.385, H56 1.080
26 C -3.1521 -0.6141 -1.9429  C25 1.385, C27 1.383, H57 1.079
27 C -3.4721 0.4831 -2.7209  C22 1.390, C26 1.383, H58 1.079
28 C 1.5233 1.9960 0.7733  C10 1.539, C29 1.521, H59 1.092, H60 1.091
29 C 2.7095 1.2114 1.3138  N7 1.457, C28 1.521, H61 1.097, H62 1.101
30 C 3.7583 -2.0174 1.3682  C5 1.406, N31 1.318, H63 1.073
31 N 3.2049 -3.1508 0.9851  N3 1.326, C30 1.318
32 H 1.6054 -5.2203 3.7335  C1 1.088
33 H 2.7948 -5.8823 2.6086  C1 1.087
34 H 1.1331 -6.4842 2.5926  C1 1.087
35 H 0.3279 -4.2540 1.8005  C2 1.094
36 H 1.5390 -4.9265 0.6827  C2 1.092
37 H 1.3440 -2.4195 3.5083  C4 1.072
38 H 4.4241 0.1028 2.9787  C6 1.095
39 H 3.2543 -0.2807 4.2534  C6 1.094
40 H 0.8983 1.9650 3.4304  C8 1.098
41 H 1.1209 0.3547 4.1103  C8 1.091
42 H -0.8184 0.4006 2.5774  C9 1.091
43 H 0.4466 -0.6760 1.9635  C9 1.090
44 H -0.6304 1.7545 0.7122  C10 1.099
45 H 0.9673 -2.6700 -1.4009  C13 1.071
46 H 0.1392 -0.8976 -3.3197  C14 1.068
47 H -0.6280 2.3422 -1.2760  N16 1.009
48 H -1.4723 3.8838 -2.4994  C19 1.091
49 H -0.7986 3.8672 -4.1392  C19 1.092
50 H -2.8383 2.4516 -4.8033  C20 1.091
51 H -3.1042 4.1777 -4.5450  C20 1.092
52 H -4.8797 2.7840 -3.5084  C21 1.093
53 H -4.0441 3.8184 -2.3482  C21 1.093
54 H -3.5699 2.8391 -0.3096  C23 1.083
55 H -3.0424 0.8811 1.0795  C24 1.081
56 H -2.7342 -1.3325 0.0317  C25 1.080
57 H -3.0295 -1.5818 -2.4052  C26 1.079
58 H -3.6049 0.3628 -3.7853  C27 1.079
59 H 1.7237 2.2856 -0.2604  C28 1.092
60 H 1.3765 2.9032 1.3602  C28 1.091
61 H 3.6371 1.7792 1.1735  C29 1.097
62 H 2.7919 0.2781 0.7359  C29 1.101
63 H 4.6086 -1.6242 0.8460  C30 1.073